## Data
┌──
No. 1
VASP calculation (GGA+U) on a relaxed LiCrPO4 crystal.

Computed properties:
Spin magnetization ... 0.571 μB/atom
Calculated formation energy ... -2.51 eV/atom
Relative energy among the computed polymorphs ... 58 meV/atom

abc: 9.9886 4.9880 7.2422
angles: 90.00 90.00 90.00
Sites, in units of the cell vectors:
Li  0.1532  0.1977  0.0000
Li  0.3468  0.6977  0.5000
Li  0.6532  0.3023  0.0000
Li  0.8468  0.8023  0.5000
Cr  0.1424  0.2141  0.4997
Cr  0.3576  0.7141  0.9997
Cr  0.6424  0.2859  0.4997
Cr  0.8576  0.7859  0.9997
P  0.0940  0.6899  0.2506
P  0.4060  0.1899  0.7506
P  0.5940  0.8101  0.2506
P  0.9060  0.3101  0.7506
O  0.0586  0.2439  0.7570
O  0.1202  0.3815  0.2404
O  0.1548  0.8193  0.0745
O  0.1567  0.7943  0.4329
O  0.3433  0.2943  0.9329
O  0.3452  0.3193  0.5745
O  0.3798  0.8815  0.7404
O  0.4414  0.7439  0.2570
O  0.5586  0.2561  0.7570
O  0.6202  0.1185  0.2404
O  0.6548  0.6807  0.0745
O  0.6567  0.7057  0.4329
O  0.8433  0.2057  0.9329
O  0.8452  0.1807  0.5745
O  0.8798  0.6185  0.7404
O  0.9414  0.7561  0.2570

***

No. 2
VASP calculation (GGA+U) on a relaxed Li6Cr3P8O29 crystal.

Computed properties:
Spin magnetization ... 0.109 μB/atom
Calculated formation energy ... -2.56 eV/atom

abc: 9.8335 9.8340 13.9590
angles: 89.86 89.85 60.06
Sites, in units of the cell vectors:
Li  0.0000  0.0000  0.0000
Li  0.0016  0.1326  0.5004
Li  0.0164  0.5615  0.4468
Li  0.3723  0.4504  0.1230
Li  0.3870  0.3035  0.6236
Li  0.4607  0.5388  0.5010
Li  0.4639  0.1340  0.0017
Li  0.5972  0.5393  0.0004
Li  0.7728  0.4480  0.6234
Li  0.7776  0.9068  0.1267
Li  0.9117  0.9145  0.6216
Li  0.9135  0.3130  0.1222
Cr  0.1187  0.2258  0.3119
Cr  0.1199  0.7902  0.8115
Cr  0.2513  0.2258  0.8117
Cr  0.2532  0.6576  0.3093
Cr  0.6851  0.7944  0.3138
Cr  0.6882  0.6598  0.8095
P  0.0086  0.1350  0.7201
P  0.0085  0.9926  0.2200
P  0.0187  0.5590  0.1920
P  0.0213  0.5575  0.6907
P  0.3512  0.8910  0.4292
P  0.3526  0.8910  0.9286
P  0.3628  0.3173  0.4051
P  0.3639  0.4574  0.9029
P  0.4536  0.1366  0.2221
P  0.4538  0.5477  0.7203
P  0.5995  0.9965  0.7238
P  0.5996  0.5467  0.2197
P  0.7764  0.4565  0.4041
P  0.7756  0.9011  0.9068
P  0.9174  0.3153  0.9020
P  0.9174  0.9013  0.4028
O  0.0087  0.4138  0.2297
O  0.0133  0.7114  0.7287
O  0.0197  0.1432  0.2202
O  0.0204  0.5569  0.0836
O  0.0201  0.5585  0.5826
O  0.0199  0.9731  0.7205
O  0.0625  0.7347  0.3876
O  0.0652  0.3293  0.8860
O  0.1694  0.8447  0.2343
O  0.1695  0.1214  0.7366
O  0.1749  0.4109  0.7284
O  0.1755  0.5479  0.2282
O  0.1949  0.3421  0.3883
O  0.1970  0.0390  0.3951
O  0.1972  0.9005  0.8912
O  0.2026  0.6051  0.8875
O  0.3058  0.1230  0.2365
O  0.3062  0.7084  0.7359
O  0.3520  0.3069  0.9033
O  0.3519  0.4798  0.4023
O  0.3530  0.8877  0.0367
O  0.3543  0.8835  0.5378
O  0.3570  0.7381  0.3921
O  0.3598  0.0390  0.8927
O  0.4342  0.1427  0.7225
O  0.4349  0.2310  0.4956
O  0.4368  0.5594  0.2193
O  0.4435  0.2266  0.1318
O  0.4434  0.4677  0.6307
O  0.4430  0.4686  0.9927
O  0.4698  0.2272  0.3136
O  0.4736  0.4375  0.8117
O  0.4948  0.8965  0.3879
O  0.4985  0.7384  0.8897
O  0.5903  0.7055  0.2339
O  0.5898  0.8444  0.7335
O  0.6044  0.5592  0.7199
O  0.6043  0.9753  0.2222
O  0.6747  0.0184  0.8214
O  0.6832  0.4703  0.4931
O  0.6872  0.4393  0.3124
O  0.6892  0.9749  0.9988
O  0.6898  0.4642  0.1303
O  0.6959  0.9912  0.6397
O  0.7673  0.4774  0.9019
O  0.7710  0.8851  0.4020
O  0.7909  0.7402  0.8877
O  0.8018  0.5983  0.3895
O  0.8746  0.5490  0.7284
O  0.8750  0.7137  0.2300
O  0.8978  0.2257  0.8109
O  0.9013  0.0098  0.3119
O  0.9284  0.9823  0.1303
O  0.9302  0.2248  0.6298
O  0.9298  0.2245  0.9921
O  0.9344  0.9778  0.4918
O  0.9368  0.8919  0.9031
O  0.9378  0.3049  0.4051

***

No. 3
VASP calculation (GGA+U) on a relaxed Li6Cr3SbP6O24 crystal.

Computed properties:
Spin magnetization ... 0.225 μB/atom
Calculated formation energy ... -2.57 eV/atom

abc: 8.4732 8.5224 8.5249
angles: 63.33 63.48 63.22
Sites, in units of the cell vectors:
└──
## What to do
Search the rows above for the word "vectors" and restate each line that has it.
## Here it is
Sites, in units of the cell vectors:
Sites, in units of the cell vectors:
Sites, in units of the cell vectors: